**Assignment**
Your job: repeat the notes further below from the first line to the one with "'x,y,z'" unchanged.

**Listing**
/*
Theoretical powder X-ray diffraction pattern of CeCr2O10 for a wavelength of 1.5418 Å, from a structure optimized by DFT (PBE+U).

Top 10 peaks for 10° ≤ 2θ ≤ 80°, by angle:
| h k l | d/Å | I (rel.) |
| --- | --- | --- |
| 0 0 1 | 6.781 | 994 |
| 0 1 1 | 5.758 | 543 |
| 1 1 0 | 5.183 | 708 |
| 0 2 1 | 4.248 | 1000 |
| 1 1 -1 | 4.158 | 656 |
| 1 1 1 | 4.080 | 467 |
| 1 2 -1 | 3.469 | 726 |
| 1 3 0 | 3.093 | 834 |
| 2 0 0 | 2.946 | 491 |
| 0 2 2 | 2.879 | 608 |

Atomic structure:
```
data_CeCr2O10
_space_group_name_H-M_alt 'P 1'
_space_group_IT_number 1
_cell_length_a 5.8933
_cell_length_b 10.9012
_cell_length_c 6.7829
_cell_angle_alpha 90.00
_cell_angle_beta 91.28
_cell_angle_gamma 90.00
loop_
_space_group_symop_operation_xyz
'x,y,z'
loop_
_atom_site_label
_atom_site_fract_x
_atom_site_fract_y
_atom_site_fract_z
Ce1 0.2290 0.2500 0.0337
Ce2 0.7710 0.7500 0.9663
Cr1 0.2651 0.5457 0.7354
Cr2 0.2651 0.9543 0.7354
Cr3 0.7349 0.0457 0.2646
Cr4 0.7349 0.4543 0.2646
O1 0.0434 0.6167 0.8461
O2 0.0434 0.8833 0.8461
O3 0.1558 0.7500 0.0806
O4 0.2370 0.5609 0.5021
O5 0.2370 0.9391 0.5021
O6 0.2674 0.1040 0.7952
O7 0.2674 0.3960 0.7952
O8 0.3188 0.2500 0.3747
O9 0.4899 0.1123 0.1855
O10 0.4899 0.3877 0.1855
O11 0.5101 0.6123 0.8145
O12 0.5101 0.8877 0.8145
O13 0.6812 0.7500 0.6253
O14 0.7326 0.6040 0.2048
O15 0.7326 0.8960 0.2048
O16 0.7630 0.0609 0.4979
O17 0.7630 0.4391 0.4979
O18 0.8442 0.2500 0.9194
O19 0.9566 0.1167 0.1539
O20 0.9566 0.3833 0.1539
```

=====

Computed PXRD pattern of K2Te4O9 for CuKα, from a structure optimized by DFT (PBE).

Peak list (8 most intense, 10° ≤ 2θ ≤ 90°, by angle)
d 7.407, I 50
d 4.581, I 33
d 3.285, I 79
d 3.196, I 42
d 3.157, I 100
d 3.020, I 51
d 2.195, I 44
d 1.814, I 19

Structure:
```
K2Te4O9
1.0
7.7444 0.0000 0.0000
0.0000 18.1254 0.0000
-2.3877 0.0000 7.8271
K Te O
8 16 36
Direct
0.1286 0.0903 0.1355
0.1286 0.4097 0.6355
0.1588 0.7468 0.1288
0.1588 0.7532 0.6288
0.8412 0.2468 0.3712
0.8412 0.2532 0.8712
0.8714 0.5903 0.3645
0.8714 0.9097 0.8645
0.1780 0.0920 0.6748
0.1780 0.4080 0.1748
0.3520 0.5783 0.3465
0.3520 0.9217 0.8465
0.3766 0.2413 0.9600
0.3766 0.2587 0.4600
0.3989 0.5821 0.9144
0.3989 0.9179 0.4144
0.6011 0.0821 0.5856
0.6011 0.4179 0.0856
0.6234 0.7413 0.5400
0.6234 0.7587 0.0400
0.6480 0.0783 0.1535
0.6480 0.4217 0.6535
0.8220 0.5920 0.8252
0.8220 0.9080 0.3252
0.1285 0.1588 0.8320
0.1285 0.3412 0.3320
0.1633 0.0056 0.8274
0.1633 0.4944 0.3274
0.1982 0.2009 0.5152
0.1982 0.2991 0.0152
0.2028 0.6458 0.4076
0.2028 0.8542 0.9076
0.2598 0.5904 0.0991
0.2598 0.9096 0.5991
0.3872 0.0553 0.4171
0.3872 0.4447 0.9171
0.4124 0.6908 0.9219
0.4124 0.8092 0.4219
0.4378 0.0874 0.7620
0.4378 0.4126 0.2620
0.4420 0.1756 0.1499
0.4420 0.3244 0.6499
0.5580 0.6756 0.3501
0.5580 0.8244 0.8501
0.5622 0.5874 0.7380
0.5622 0.9126 0.2380
0.5876 0.1908 0.5781
0.5876 0.3092 0.0781
0.6128 0.5553 0.0829
0.6128 0.9447 0.5829
0.7402 0.0904 0.4009
0.7402 0.4096 0.9009
0.7972 0.1458 0.0924
0.7972 0.3542 0.5924
0.8018 0.7009 0.9848
0.8018 0.7991 0.4848
0.8367 0.5056 0.6726
0.8367 0.9944 0.1726
0.8715 0.6588 0.6680
0.8715 0.8412 0.1679
```


Computed PXRD pattern of CsYSeCl2O3 for CuKα, from a structure optimized by DFT (PBE).

Peak list (8 most intense, 10° ≤ 2θ ≤ 90°, by angle)
d 4.128, I 75
d 3.752, I 100
d 3.541, I 89
d 3.472, I 98
d 3.009, I 93
d 2.969, I 53
d 2.950, I 56
d 2.258, I 68

Structure:
```
CsYSeCl2O3
1.0
6.7168 0.0000 0.0000
0.0000 7.0825 0.0000
-4.1495 0.0000 17.6982
Cs Y Se Cl O
4 4 4 8 12
Direct
0.2437 0.2074 0.0549
0.2437 0.2926 0.5549
0.7563 0.7074 0.4451
0.7563 0.7926 0.9451
0.1402 0.6742 0.2577
0.1402 0.8258 0.7577
0.8598 0.1742 0.2423
0.8598 0.3258 0.7423
0.3616 0.1789 0.2927
0.3616 0.3211 0.7927
0.6384 0.6789 0.2073
0.6384 0.8211 0.7073
0.1262 0.6843 0.1103
0.1262 0.8157 0.6103
0.2320 0.6546 0.4084
0.2320 0.8454 0.9084
0.7680 0.1546 0.0916
0.7680 0.3454 0.5916
0.8738 0.1843 0.3897
0.8738 0.3157 0.8897
0.1773 0.1508 0.7561
0.1773 0.3492 0.2561
0.1826 0.5012 0.7652
0.1826 0.9988 0.2652
*/

**Reply**
Theoretical powder X-ray diffraction pattern of CeCr2O10 for a wavelength of 1.5418 Å, from a structure optimized by DFT (PBE+U).

Top 10 peaks for 10° ≤ 2θ ≤ 80°, by angle:
| h k l | d/Å | I (rel.) |
| --- | --- | --- |
| 0 0 1 | 6.781 | 994 |
| 0 1 1 | 5.758 | 543 |
| 1 1 0 | 5.183 | 708 |
| 0 2 1 | 4.248 | 1000 |
| 1 1 -1 | 4.158 | 656 |
| 1 1 1 | 4.080 | 467 |
| 1 2 -1 | 3.469 | 726 |
| 1 3 0 | 3.093 | 834 |
| 2 0 0 | 2.946 | 491 |
| 0 2 2 | 2.879 | 608 |

Atomic structure:
```
data_CeCr2O10
_space_group_name_H-M_alt 'P 1'
_space_group_IT_number 1
_cell_length_a 5.8933
_cell_length_b 10.9012
_cell_length_c 6.7829
_cell_angle_alpha 90.00
_cell_angle_beta 91.28
_cell_angle_gamma 90.00
loop_
_space_group_symop_operation_xyz
'x,y,z'